**Input**
[1]
61
Properties=species:S:1:pos:R:3 method="wB97M-V/def2-TZVPD" total_charge=+1 multiplicity=4 homo_lumo_gap_ev="6.86 / 7.20" largest_force_ev_per_a=1.14
H 1.3195 -1.9144 2.9225
H -4.9084 -0.8707 1.7669
C 3.7473 -4.4285 0.3594
C 3.5661 0.4536 -0.5242
C -1.3493 2.8184 0.7204
C 2.7144 -2.7719 -1.0625
C -2.4114 3.7235 0.6854
S -1.4378 -2.7258 2.5286
H -5.4147 -0.1819 0.1970
C 1.1776 1.3611 -0.5019
H -3.5359 3.1854 -2.4578
H 3.7771 0.8556 -1.5164
V -0.4731 -0.9015 -0.0848
H 4.2824 -5.3608 0.4685
C -4.5668 -0.4122 0.8428
N 1.5325 -0.8927 -0.0509
O -2.6619 -0.7354 -0.4846
C -1.8869 2.1559 -1.5721
C 3.3990 -3.6936 1.4799
C 1.6736 2.7258 -0.8384
H 0.8678 3.4549 -0.8662
H 3.6709 -4.0469 2.4652
H 2.4253 3.0645 -0.1248
C 3.4164 -3.9605 -0.9030
S -1.1091 -0.6693 2.1791
H 2.3059 -3.0980 -3.1410
H 4.1145 -0.4756 -0.3982
O -3.7059 -2.5481 0.3510
H -1.0515 2.9949 2.8369
S -0.7655 -3.0709 -1.1939
N -3.8466 0.8550 1.1766
H 1.4847 -1.6846 -2.4882
C -1.5692 1.3737 -2.8139
H -2.6052 4.3402 1.5531
C -2.9369 3.0712 -1.5655
H 3.6959 -4.5253 -1.7812
H 3.9407 1.1792 0.1996
H 3.2157 -1.6319 -2.8152
H 3.0161 -1.9708 3.4057
C -0.4808 2.7370 1.9462
H -3.3666 1.2182 0.3295
C 2.4080 -2.2687 -2.4451
H -1.4764 0.3011 -2.6280
N -0.0976 1.0329 -0.3838
C -3.2037 3.8497 -0.4454
C 2.3537 -2.0764 0.0826
H -4.0123 4.5658 -0.4674
C -1.1147 2.0410 -0.4169
H 2.1570 2.7120 -1.8183
H -0.0498 1.7481 2.0964
H -4.4500 1.5883 1.5571
C 2.0997 0.2497 -0.3420
H -3.0751 0.6182 1.8542
C -3.5462 -1.3083 0.1573
C 2.6940 -2.4993 1.3630
C 2.3407 -1.7097 2.5933
H -0.6300 1.7123 -3.2551
H 0.3462 3.4466 1.8798
H 2.4135 -0.6334 2.4315
H -2.3502 1.5090 -3.5590
Sb -2.0663 -3.8759 0.5161

---

[2]
56
Properties=species:S:1:pos:R:3 method="wB97M-V/def2-TZVPD" homo_lumo_gap_ev=9.12 largest_force_ev_per_a=0.57
H -2.7862 3.5574 -6.3398
C 1.5993 -1.8577 2.8678
H 1.6650 1.1587 4.1057
C -1.5363 4.2499 -4.7148
H 1.3642 -0.2913 -1.8813
O -2.6783 -0.0793 -3.6447
C 1.4101 -1.4741 0.3881
H -0.5432 4.7103 -4.7061
H -0.3776 -3.5071 0.6977
H 2.4715 -1.2215 0.4211
H -1.7114 3.5591 -2.5763
H -1.0879 3.6947 -6.7887
H 2.0044 1.0736 -0.9697
H -0.3074 2.1060 -1.0134
H 0.4076 1.9151 -2.6254
O 2.1780 1.0720 1.4377
H -1.4323 0.4347 0.4520
O 0.0163 1.3724 1.9254
C -1.6449 1.9981 -4.0519
C -1.8463 0.7416 -3.2891
C 1.0186 -2.1910 1.6487
C -1.3311 -0.6500 -1.3930
H -1.0745 -4.6163 2.7389
H 1.7910 2.8917 2.3181
H 1.2369 -2.1300 -0.4679
C -0.8982 -0.4262 0.0463
C -1.7660 3.4123 -5.9852
H 2.3699 -1.1041 2.8965
H 1.6660 -2.2255 4.9796
C 2.5363 2.0914 2.3747
C 2.6243 1.5697 3.8010
H -1.1443 -5.3164 6.3116
C 0.0649 -3.1980 1.6346
C 1.2181 -2.4845 4.0332
O -0.0712 -4.0329 5.2188
C 0.6137 -0.1695 0.1505
H -2.2677 5.0521 -4.6095
H -2.3315 1.2824 -5.9579
C -1.5699 1.9493 -5.5552
H 3.5054 2.4604 2.0309
C 0.2390 -3.4791 4.0136
H -2.4001 -0.8696 -1.4509
N -1.0900 0.5458 -2.1834
C -1.0552 -5.0369 5.2630
H -0.7976 -1.5038 -1.8308
H 2.8832 2.3890 4.4658
H -1.1728 -1.2879 0.6530
H -0.5943 1.5621 -5.8631
C 1.1063 0.4853 -1.1590
C 0.8735 0.8223 1.2853
C 0.0191 1.3712 -1.7612
C -0.3287 -3.8393 2.7979
H 3.3867 0.7987 3.8824
C -1.6421 3.2489 -3.6047
H -0.7606 -5.9152 4.6792
H -2.0218 -4.6690 4.9039

---

[3]
56
Properties=species:S:1:pos:R:3 method="wB97M-V/def2-TZVPD" homo_lumo_gap_ev=8.52 largest_force_ev_per_a=16.77
C -3.9864 -1.4065 -0.0501
H 1.4893 1.0320 3.2473
H 1.4752 1.3898 -0.9109
C -1.2032 1.8152 -1.4627
H 0.7659 3.5694 -2.0070
H 4.4928 -4.9898 -1.1493
O 2.9112 2.5159 -2.1039
O 1.0698 -0.2561 0.2223
H 3.6477 -2.7045 -2.5197
C 1.7371 1.0949 2.3383
O -5.1863 -2.9366 -1.1737
C -3.1331 1.5841 0.4355
C 2.5143 -1.8514 1.0833
H -2.3884 0.4231 -2.4730
C 0.6712 0.3810 1.2755
H -4.5068 -0.1385 -1.8078
H 3.4792 3.3686 0.4082
C -1.1668 2.8751 -0.3172
H 5.2923 -4.7110 -0.0249
C 1.9561 -1.4287 0.0865
H 3.3896 3.1989 -1.8679
C 3.3518 -3.0141 0.9439
H -6.3013 -1.4183 1.4017
H -3.2257 -1.8541 -0.4984
H -5.6128 -2.7376 2.0592
H -3.8768 1.8269 1.3702
H -0.3496 0.9095 1.6039
C -6.0981 -2.3640 1.0849
O -0.1588 3.5247 0.0197
**Job**
Restate the rows above with every line break kept.
**Outcome**
[1]
61
Properties=species:S:1:pos:R:3 method="wB97M-V/def2-TZVPD" total_charge=+1 multiplicity=4 homo_lumo_gap_ev="6.86 / 7.20" largest_force_ev_per_a=1.14
H 1.3195 -1.9144 2.9225
H -4.9084 -0.8707 1.7669
C 3.7473 -4.4285 0.3594
C 3.5661 0.4536 -0.5242
C -1.3493 2.8184 0.7204
C 2.7144 -2.7719 -1.0625
C -2.4114 3.7235 0.6854
S -1.4378 -2.7258 2.5286
H -5.4147 -0.1819 0.1970
C 1.1776 1.3611 -0.5019
H -3.5359 3.1854 -2.4578
H 3.7771 0.8556 -1.5164
V -0.4731 -0.9015 -0.0848
H 4.2824 -5.3608 0.4685
C -4.5668 -0.4122 0.8428
N 1.5325 -0.8927 -0.0509
O -2.6619 -0.7354 -0.4846
C -1.8869 2.1559 -1.5721
C 3.3990 -3.6936 1.4799
C 1.6736 2.7258 -0.8384
H 0.8678 3.4549 -0.8662
H 3.6709 -4.0469 2.4652
H 2.4253 3.0645 -0.1248
C 3.4164 -3.9605 -0.9030
S -1.1091 -0.6693 2.1791
H 2.3059 -3.0980 -3.1410
H 4.1145 -0.4756 -0.3982
O -3.7059 -2.5481 0.3510
H -1.0515 2.9949 2.8369
S -0.7655 -3.0709 -1.1939
N -3.8466 0.8550 1.1766
H 1.4847 -1.6846 -2.4882
C -1.5692 1.3737 -2.8139
H -2.6052 4.3402 1.5531
C -2.9369 3.0712 -1.5655
H 3.6959 -4.5253 -1.7812
H 3.9407 1.1792 0.1996
H 3.2157 -1.6319 -2.8152
H 3.0161 -1.9708 3.4057
C -0.4808 2.7370 1.9462
H -3.3666 1.2182 0.3295
C 2.4080 -2.2687 -2.4451
H -1.4764 0.3011 -2.6280
N -0.0976 1.0329 -0.3838
C -3.2037 3.8497 -0.4454
C 2.3537 -2.0764 0.0826
H -4.0123 4.5658 -0.4674
C -1.1147 2.0410 -0.4169
H 2.1570 2.7120 -1.8183
H -0.0498 1.7481 2.0964
H -4.4500 1.5883 1.5571
C 2.0997 0.2497 -0.3420
H -3.0751 0.6182 1.8542
C -3.5462 -1.3083 0.1573
C 2.6940 -2.4993 1.3630
C 2.3407 -1.7097 2.5933
H -0.6300 1.7123 -3.2551
H 0.3462 3.4466 1.8798
H 2.4135 -0.6334 2.4315
H -2.3502 1.5090 -3.5590
Sb -2.0663 -3.8759 0.5161

---

[2]
56
Properties=species:S:1:pos:R:3 method="wB97M-V/def2-TZVPD" homo_lumo_gap_ev=9.12 largest_force_ev_per_a=0.57
H -2.7862 3.5574 -6.3398
C 1.5993 -1.8577 2.8678
H 1.6650 1.1587 4.1057
C -1.5363 4.2499 -4.7148
H 1.3642 -0.2913 -1.8813
O -2.6783 -0.0793 -3.6447
C 1.4101 -1.4741 0.3881
H -0.5432 4.7103 -4.7061
H -0.3776 -3.5071 0.6977
H 2.4715 -1.2215 0.4211
H -1.7114 3.5591 -2.5763
H -1.0879 3.6947 -6.7887
H 2.0044 1.0736 -0.9697
H -0.3074 2.1060 -1.0134
H 0.4076 1.9151 -2.6254
O 2.1780 1.0720 1.4377
H -1.4323 0.4347 0.4520
O 0.0163 1.3724 1.9254
C -1.6449 1.9981 -4.0519
C -1.8463 0.7416 -3.2891
C 1.0186 -2.1910 1.6487
C -1.3311 -0.6500 -1.3930
H -1.0745 -4.6163 2.7389
H 1.7910 2.8917 2.3181
H 1.2369 -2.1300 -0.4679
C -0.8982 -0.4262 0.0463
C -1.7660 3.4123 -5.9852
H 2.3699 -1.1041 2.8965
H 1.6660 -2.2255 4.9796
C 2.5363 2.0914 2.3747
C 2.6243 1.5697 3.8010
H -1.1443 -5.3164 6.3116
C 0.0649 -3.1980 1.6346
C 1.2181 -2.4845 4.0332
O -0.0712 -4.0329 5.2188
C 0.6137 -0.1695 0.1505
H -2.2677 5.0521 -4.6095
H -2.3315 1.2824 -5.9579
C -1.5699 1.9493 -5.5552
H 3.5054 2.4604 2.0309
C 0.2390 -3.4791 4.0136
H -2.4001 -0.8696 -1.4509
N -1.0900 0.5458 -2.1834
C -1.0552 -5.0369 5.2630
H -0.7976 -1.5038 -1.8308
H 2.8832 2.3890 4.4658
H -1.1728 -1.2879 0.6530
H -0.5943 1.5621 -5.8631
C 1.1063 0.4853 -1.1590
C 0.8735 0.8223 1.2853
C 0.0191 1.3712 -1.7612
C -0.3287 -3.8393 2.7979
H 3.3867 0.7987 3.8824
C -1.6421 3.2489 -3.6047
H -0.7606 -5.9152 4.6792
H -2.0218 -4.6690 4.9039

---

[3]
56
Properties=species:S:1:pos:R:3 method="wB97M-V/def2-TZVPD" homo_lumo_gap_ev=8.52 largest_force_ev_per_a=16.77
C -3.9864 -1.4065 -0.0501
H 1.4893 1.0320 3.2473
H 1.4752 1.3898 -0.9109
C -1.2032 1.8152 -1.4627
H 0.7659 3.5694 -2.0070
H 4.4928 -4.9898 -1.1493
O 2.9112 2.5159 -2.1039
O 1.0698 -0.2561 0.2223
H 3.6477 -2.7045 -2.5197
C 1.7371 1.0949 2.3383
O -5.1863 -2.9366 -1.1737
C -3.1331 1.5841 0.4355
C 2.5143 -1.8514 1.0833
H -2.3884 0.4231 -2.4730
C 0.6712 0.3810 1.2755
H -4.5068 -0.1385 -1.8078
H 3.4792 3.3686 0.4082
C -1.1668 2.8751 -0.3172
H 5.2923 -4.7110 -0.0249
C 1.9561 -1.4287 0.0865
H 3.3896 3.1989 -1.8679
C 3.3518 -3.0141 0.9439
H -6.3013 -1.4183 1.4017
H -3.2257 -1.8541 -0.4984
H -5.6128 -2.7376 2.0592
H -3.8768 1.8269 1.3702
H -0.3496 0.9095 1.6039
C -6.0981 -2.3640 1.0849
O -0.1588 3.5247 0.0197